**Source:**
- - -
1.
Structure and simulated powder X-ray diffraction pattern of NbSbNO (DFT lattice parameters and positions (GGA-PBE); Cu Kα, 1.54184 Å).
Intensities are scaled so that the largest is 100.

```
data_NbSbNO
_space_group_name_H-M_alt 'P c a 21'
_space_group_IT_number 29
_space_group_name_Hall 'P 2c -2ac'
_cell_length_a 6.263
_cell_length_b 8.370
_cell_length_c 5.873
_cell_angle_alpha 90.00
_cell_angle_beta 90.00
_cell_angle_gamma 90.00
loop_
_atom_site_label
_atom_site_type_symbol
_atom_site_fract_x
_atom_site_fract_y
_atom_site_fract_z
Nb1 Nb 0.113 0.076 0.000
Sb1 Sb 0.177 0.526 0.056
N1 N 0.105 0.054 0.660
O1 O 0.049 0.291 0.057
```

Principal peaks in the range 2θ = 5–70°, sorted by position:
- d 4.185, 2θ = 21.23°, I 100, (0 2 0)
- d 3.814, 2θ = 23.33°, I 18, (1 1 1)
- d 3.480, 2θ = 25.60°, I 36, (1 2 0)
- d 2.994, 2θ = 29.85°, I 25, (1 2 1)
- d 2.936, 2θ = 30.45°, I 92, (0 0 2)
- d 2.764, 2θ = 32.39°, I 100, (2 0 1)
- d 2.404, 2θ = 37.41°, I 36, (0 2 2)
- d 2.306, 2θ = 39.06°, I 49, (2 2 1)
- d 1.880, 2θ = 48.41°, I 17, (1 4 1)
- d 1.432, 2θ = 65.13°, I 20, (2 5 1)

=====

2.
Structure and simulated powder X-ray diffraction pattern of PaTaCu (DFT lattice parameters and positions (GGA-PBE); Cu Kα, 1.54184 Å).
Intensities are scaled so that the largest is 100.

```
data_PaTaCu
_space_group_name_H-M_alt 'F -4 3 m'
_space_group_IT_number 216
_space_group_name_Hall 'F -4 2 3'
_cell_length_a 6.321
_cell_length_b 6.321
_cell_length_c 6.321
_cell_angle_alpha 90.00
_cell_angle_beta 90.00
_cell_angle_gamma 90.00
loop_
_atom_site_label
_atom_site_type_symbol
_atom_site_fract_x
_atom_site_fract_y
_atom_site_fract_z
Pa1 Pa 0.000 0.000 0.000
Ta1 Ta 0.000 0.000 0.500
Cu1 Cu 0.250 0.250 0.250
```

Principal peaks in the range 2θ = 5–70°, sorted by position:
- d 3.650, 2θ = 24.39°, I 8, (1 1 1)
- d 3.161, 2θ = 28.24°, I 64, (2 0 0)
- d 2.235, 2θ = 40.36°, I 100, (2 2 0)
- d 1.906, 2θ = 47.72°, I 4, (3 1 1)
- d 1.825, 2θ = 49.98°, I 18, (2 2 2)
- d 1.580, 2θ = 58.40°, I 17, (4 0 0)
- d 1.450, 2θ = 64.23°, I 2, (3 3 1)
- d 1.413, 2θ = 66.10°, I 25, (4 2 0)

~~~~~

# 1
Starting from DFT lattice parameters and positions (GGA-PBE), the X-ray powder pattern of CuAsPd3 was simulated for Cu Kα, 1.54184 Å.
Peak positions follow from Bragg's law for the DFT cell and can differ from measured ones.

Crystal structure
Lattice parameters (Å, degrees): 6.103 5.284 9.894 90.00 107.11 90.00
Fractional positions:
Cu1 0.134 0.077 0.126
Cu2 0.134 0.423 0.626
Cu3 0.866 0.577 0.374
Cu4 0.866 0.923 0.874
As1 0.268 0.713 0.000
As2 0.268 0.787 0.500
As3 0.732 0.213 0.500
As4 0.732 0.287 0.000
Pd1 0.043 0.562 0.156
Pd2 0.043 0.938 0.656
Pd3 0.326 0.133 0.902
Pd4 0.326 0.367 0.402
Pd5 0.482 0.619 0.826
Pd6 0.482 0.881 0.326
Pd7 0.518 0.119 0.674
Pd8 0.518 0.381 0.174
Pd9 0.674 0.633 0.598
Pd10 0.674 0.867 0.098
Pd11 0.957 0.062 0.344
Pd12 0.957 0.438 0.844

Top 12 peaks for 2θ from 5° to 70°, low angle first:
d (Å)  I_rel
2.707  11
2.406  12
2.364  15
2.319  12
2.294  62
2.267  100
2.228  48
2.209  58
2.036  11
1.886  32
1.781  15
1.451  17

# 2
Starting from DFT lattice parameters and positions (GGA-PBE), the X-ray powder pattern of Mg5Si9 was simulated for Cu Kα, 1.54184 Å.
Peak positions follow from Bragg's law for the DFT cell and can differ from measured ones.

Crystal structure
Lattice parameters (Å, degrees): 7.746 7.931 10.213 84.48 78.15 61.11
Fractional positions:
Mg1 0.000 0.000 0.000
Mg2 0.013 0.689 0.438
Mg3 0.110 0.353 0.929
Mg4 0.169 0.240 0.385
Mg5 0.350 0.831 0.526
Mg6 0.554 0.120 0.113
Mg7 0.583 0.107 0.817
Mg8 0.617 0.084 0.503
Mg9 0.764 0.676 0.727
Mg10 0.818 0.333 0.233
Si1 0.143 0.967 0.249
Si2 0.190 0.714 0.791
Si3 0.234 0.182 0.661
Si4 0.245 0.484 0.624
Si5 0.247 0.465 0.181
Si6 0.359 0.961 0.033
Si7 0.361 0.904 0.804
Si8 0.390 0.462 0.946
Si9 0.392 0.630 0.261
Si10 0.521 0.458 0.454
Si11 0.627 0.642 0.065
Si12 0.738 0.356 0.926
Si13 0.784 0.505 0.502
Si14 0.828 0.953 0.262
Si15 0.874 0.771 0.927
Si16 0.885 0.271 0.679
Si17 0.902 0.655 0.156
- - -

**Exercise:**
What is needed: repeat the lines further above up to the one that holds "Si8 0.390", that line included.

**Response:**
1.
Structure and simulated powder X-ray diffraction pattern of NbSbNO (DFT lattice parameters and positions (GGA-PBE); Cu Kα, 1.54184 Å).
Intensities are scaled so that the largest is 100.

```
data_NbSbNO
_space_group_name_H-M_alt 'P c a 21'
_space_group_IT_number 29
_space_group_name_Hall 'P 2c -2ac'
_cell_length_a 6.263
_cell_length_b 8.370
_cell_length_c 5.873
_cell_angle_alpha 90.00
_cell_angle_beta 90.00
_cell_angle_gamma 90.00
loop_
_atom_site_label
_atom_site_type_symbol
_atom_site_fract_x
_atom_site_fract_y
_atom_site_fract_z
Nb1 Nb 0.113 0.076 0.000
Sb1 Sb 0.177 0.526 0.056
N1 N 0.105 0.054 0.660
O1 O 0.049 0.291 0.057
```

Principal peaks in the range 2θ = 5–70°, sorted by position:
- d 4.185, 2θ = 21.23°, I 100, (0 2 0)
- d 3.814, 2θ = 23.33°, I 18, (1 1 1)
- d 3.480, 2θ = 25.60°, I 36, (1 2 0)
- d 2.994, 2θ = 29.85°, I 25, (1 2 1)
- d 2.936, 2θ = 30.45°, I 92, (0 0 2)
- d 2.764, 2θ = 32.39°, I 100, (2 0 1)
- d 2.404, 2θ = 37.41°, I 36, (0 2 2)
- d 2.306, 2θ = 39.06°, I 49, (2 2 1)
- d 1.880, 2θ = 48.41°, I 17, (1 4 1)
- d 1.432, 2θ = 65.13°, I 20, (2 5 1)

=====

2.
Structure and simulated powder X-ray diffraction pattern of PaTaCu (DFT lattice parameters and positions (GGA-PBE); Cu Kα, 1.54184 Å).
Intensities are scaled so that the largest is 100.

```
data_PaTaCu
_space_group_name_H-M_alt 'F -4 3 m'
_space_group_IT_number 216
_space_group_name_Hall 'F -4 2 3'
_cell_length_a 6.321
_cell_length_b 6.321
_cell_length_c 6.321
_cell_angle_alpha 90.00
_cell_angle_beta 90.00
_cell_angle_gamma 90.00
loop_
_atom_site_label
_atom_site_type_symbol
_atom_site_fract_x
_atom_site_fract_y
_atom_site_fract_z
Pa1 Pa 0.000 0.000 0.000
Ta1 Ta 0.000 0.000 0.500
Cu1 Cu 0.250 0.250 0.250
```

Principal peaks in the range 2θ = 5–70°, sorted by position:
- d 3.650, 2θ = 24.39°, I 8, (1 1 1)
- d 3.161, 2θ = 28.24°, I 64, (2 0 0)
- d 2.235, 2θ = 40.36°, I 100, (2 2 0)
- d 1.906, 2θ = 47.72°, I 4, (3 1 1)
- d 1.825, 2θ = 49.98°, I 18, (2 2 2)
- d 1.580, 2θ = 58.40°, I 17, (4 0 0)
- d 1.450, 2θ = 64.23°, I 2, (3 3 1)
- d 1.413, 2θ = 66.10°, I 25, (4 2 0)

~~~~~

# 1
Starting from DFT lattice parameters and positions (GGA-PBE), the X-ray powder pattern of CuAsPd3 was simulated for Cu Kα, 1.54184 Å.
Peak positions follow from Bragg's law for the DFT cell and can differ from measured ones.

Crystal structure
Lattice parameters (Å, degrees): 6.103 5.284 9.894 90.00 107.11 90.00
Fractional positions:
Cu1 0.134 0.077 0.126
Cu2 0.134 0.423 0.626
Cu3 0.866 0.577 0.374
Cu4 0.866 0.923 0.874
As1 0.268 0.713 0.000
As2 0.268 0.787 0.500
As3 0.732 0.213 0.500
As4 0.732 0.287 0.000
Pd1 0.043 0.562 0.156
Pd2 0.043 0.938 0.656
Pd3 0.326 0.133 0.902
Pd4 0.326 0.367 0.402
Pd5 0.482 0.619 0.826
Pd6 0.482 0.881 0.326
Pd7 0.518 0.119 0.674
Pd8 0.518 0.381 0.174
Pd9 0.674 0.633 0.598
Pd10 0.674 0.867 0.098
Pd11 0.957 0.062 0.344
Pd12 0.957 0.438 0.844

Top 12 peaks for 2θ from 5° to 70°, low angle first:
d (Å)  I_rel
2.707  11
2.406  12
2.364  15
2.319  12
2.294  62
2.267  100
2.228  48
2.209  58
2.036  11
1.886  32
1.781  15
1.451  17

# 2
Starting from DFT lattice parameters and positions (GGA-PBE), the X-ray powder pattern of Mg5Si9 was simulated for Cu Kα, 1.54184 Å.
Peak positions follow from Bragg's law for the DFT cell and can differ from measured ones.

Crystal structure
Lattice parameters (Å, degrees): 7.746 7.931 10.213 84.48 78.15 61.11
Fractional positions:
Mg1 0.000 0.000 0.000
Mg2 0.013 0.689 0.438
Mg3 0.110 0.353 0.929
Mg4 0.169 0.240 0.385
Mg5 0.350 0.831 0.526
Mg6 0.554 0.120 0.113
Mg7 0.583 0.107 0.817
Mg8 0.617 0.084 0.503
Mg9 0.764 0.676 0.727
Mg10 0.818 0.333 0.233
Si1 0.143 0.967 0.249
Si2 0.190 0.714 0.791
Si3 0.234 0.182 0.661
Si4 0.245 0.484 0.624
Si5 0.247 0.465 0.181
Si6 0.359 0.961 0.033
Si7 0.361 0.904 0.804
Si8 0.390 0.462 0.946